It remains to repeat everything below verbatim.

# 1
Formula: C39H56BrN3O29
Source: OMol25
Level of theory: ωB97M-V/def2-TZVPD

* energy above the lowest of the compared OMol25 structures with the same formula, charge and spin: 0.0 kJ/mol
* frontier orbital gap: 0.363 hartree
* 2S+1: 1

Atoms and positions in Å:
C  1.370  0.494  4.172
C  1.337  -0.401  2.928
C  0.381  0.114  1.862
N  -0.995  0.010  2.346
C  -2.034  0.621  1.565
C  -1.799  0.478  0.098
N  -1.660  0.290  -1.021
C  -3.377  -0.102  1.809
O  -3.820  0.084  3.119
C  -5.211  0.358  3.282
C  -5.409  1.361  4.392
C  -2.100  2.174  1.842
Br  -1.824  2.533  3.748
C  -3.447  2.687  1.523
N  -4.484  3.086  1.259
O  -1.118  2.745  1.065
C  -1.269  4.085  0.568
C  -1.443  5.171  1.620
H  0.522  0.292  4.827
H  2.284  0.337  4.747
H  1.320  1.552  3.900
H  2.335  -0.473  2.489
H  1.004  -1.400  3.223
H  0.632  1.155  1.646
H  0.524  -0.469  0.943
H  -1.224  -0.971  2.470
H  -4.117  0.249  1.082
H  -3.194  -1.166  1.603
H  -5.723  -0.583  3.522
H  -5.617  0.742  2.340
H  -4.899  1.033  5.299
H  -6.475  1.463  4.603
H  -5.021  2.340  4.108
H  -0.333  4.281  0.047
H  -2.061  4.113  -0.186
H  -1.069  6.105  1.197
H  -0.836  4.931  2.494
H  -2.477  5.309  1.933
C  2.848  3.044  0.161
C  3.303  4.118  -0.811
O  2.996  5.318  -0.088
C  2.962  5.030  1.230
O  2.892  5.846  2.096
O  3.011  3.699  1.429
H  3.448  2.140  0.126
H  1.792  2.794  0.036
H  4.376  4.086  -0.999
H  2.763  4.115  -1.753
C  -7.613  2.679  0.363
C  -7.766  2.083  -1.024
O  -9.045  1.448  -0.943
C  -9.763  2.044  0.041
O  -10.916  1.852  0.249
O  -8.976  2.885  0.752
H  -7.073  3.619  0.391
H  -7.152  1.983  1.066
H  -7.802  2.847  -1.802
H  -7.011  1.343  -1.275
C  -3.706  -3.996  3.966
C  -2.858  -4.021  5.227
O  -1.527  -4.076  4.694
C  -1.544  -3.575  3.449
O  -0.577  -3.303  2.805
O  -2.811  -3.398  3.018
H  -4.603  -3.389  4.046
H  -3.961  -4.996  3.615
H  -2.956  -3.107  5.813
H  -3.028  -4.888  5.859
C  3.950  8.333  3.672
C  4.692  7.617  4.784
O  5.973  8.257  4.750
C  5.835  9.478  4.183
O  6.679  10.313  4.153
O  4.597  9.612  3.651
H  2.888  8.461  3.861
H  4.092  7.846  2.709
H  4.243  7.789  5.764
H  4.810  6.551  4.614
C  2.129  9.619  0.509
C  2.194  8.794  -0.764
O  0.906  8.169  -0.781
C  0.052  8.919  -0.043
O  -1.124  8.753  0.005
O  0.726  9.877  0.629
H  2.672  10.558  0.459
H  2.455  9.051  1.381
H  2.293  9.413  -1.657
H  2.967  8.031  -0.753
C  0.709  -3.109  -0.219
C  0.446  -4.030  -1.396
O  1.521  -3.681  -2.286
C  2.527  -3.142  -1.566
O  3.611  -2.902  -1.997
O  2.129  -2.912  -0.298
H  0.436  -3.533  0.742
H  0.217  -2.142  -0.340
H  0.537  -5.085  -1.144
H  -0.499  -3.868  -1.904
C  2.365  -4.548  -5.321
C  3.137  -5.761  -4.840
O  2.282  -6.278  -3.809
C  1.035  -5.823  -4.019
O  0.080  -6.170  -3.386
O  1.008  -4.920  -5.011
H  2.460  -4.360  -6.385
H  2.612  -3.650  -4.755
H  3.237  -6.522  -5.617
H  4.110  -5.519  -4.427
C  -1.658  -8.961  -4.131
C  -1.400  -9.609  -5.480
O  -0.561  -10.713  -5.129
C  -0.779  -11.026  -3.827
O  -0.357  -11.996  -3.287
O  -1.541  -10.078  -3.239
H  -2.648  -8.524  -4.033
H  -0.907  -8.218  -3.865
H  -2.310  -9.996  -5.941
H  -0.877  -8.967  -6.183
C  7.357  -7.223  -6.129
C  6.936  -7.462  -7.569
O  5.798  -6.600  -7.695
C  5.891  -5.624  -6.766
O  5.184  -4.667  -6.715
O  6.886  -5.890  -5.895
H  8.430  -7.258  -5.967
H  6.856  -7.896  -5.431
H  7.694  -7.140  -8.284
H  6.638  -8.484  -7.781


# 2
Formula: C37H60BeBrCaCl5N4O4S2
Source: OMol25
Level of theory: ωB97M-V/def2-TZVPD

* charge: +2
* frontier orbital gap: 0.024 hartree
* 2S+1: 1

Atoms and positions in Å:
C  4.480  -6.913  2.031
C  5.509  -7.042  0.811
C  4.855  -6.922  -0.653
C  3.582  -5.958  -0.754
C  3.974  -4.375  -0.878
C  2.733  -3.563  -0.255
C  2.327  -2.232  -1.100
C  1.186  -1.503  -0.195
N  0.693  -0.223  -0.794
C  1.519  0.959  -0.353
C  2.614  1.433  -1.419
C  3.706  2.331  -0.607
C  3.878  3.813  -1.213
C  4.049  4.948  -0.070
C  5.525  5.593  -0.035
C  5.546  7.199  -0.315
C  5.883  8.059  1.027

# 1
Formula: C39H56BrN3O29
Source: OMol25
Level of theory: ωB97M-V/def2-TZVPD

* energy above the lowest of the compared OMol25 structures with the same formula, charge and spin: 0.0 kJ/mol
* frontier orbital gap: 0.363 hartree
* 2S+1: 1

Atoms and positions in Å:
C  1.370  0.494  4.172
C  1.337  -0.401  2.928
C  0.381  0.114  1.862
N  -0.995  0.010  2.346
C  -2.034  0.621  1.565
C  -1.799  0.478  0.098
N  -1.660  0.290  -1.021
C  -3.377  -0.102  1.809
O  -3.820  0.084  3.119
C  -5.211  0.358  3.282
C  -5.409  1.361  4.392
C  -2.100  2.174  1.842
Br  -1.824  2.533  3.748
C  -3.447  2.687  1.523
N  -4.484  3.086  1.259
O  -1.118  2.745  1.065
C  -1.269  4.085  0.568
C  -1.443  5.171  1.620
H  0.522  0.292  4.827
H  2.284  0.337  4.747
H  1.320  1.552  3.900
H  2.335  -0.473  2.489
H  1.004  -1.400  3.223
H  0.632  1.155  1.646
H  0.524  -0.469  0.943
H  -1.224  -0.971  2.470
H  -4.117  0.249  1.082
H  -3.194  -1.166  1.603
H  -5.723  -0.583  3.522
H  -5.617  0.742  2.340
H  -4.899  1.033  5.299
H  -6.475  1.463  4.603
H  -5.021  2.340  4.108
H  -0.333  4.281  0.047
H  -2.061  4.113  -0.186
H  -1.069  6.105  1.197
H  -0.836  4.931  2.494
H  -2.477  5.309  1.933
C  2.848  3.044  0.161
C  3.303  4.118  -0.811
O  2.996  5.318  -0.088
C  2.962  5.030  1.230
O  2.892  5.846  2.096
O  3.011  3.699  1.429
H  3.448  2.140  0.126
H  1.792  2.794  0.036
H  4.376  4.086  -0.999
H  2.763  4.115  -1.753
C  -7.613  2.679  0.363
C  -7.766  2.083  -1.024
O  -9.045  1.448  -0.943
C  -9.763  2.044  0.041
O  -10.916  1.852  0.249
O  -8.976  2.885  0.752
H  -7.073  3.619  0.391
H  -7.152  1.983  1.066
H  -7.802  2.847  -1.802
H  -7.011  1.343  -1.275
C  -3.706  -3.996  3.966
C  -2.858  -4.021  5.227
O  -1.527  -4.076  4.694
C  -1.544  -3.575  3.449
O  -0.577  -3.303  2.805
O  -2.811  -3.398  3.018
H  -4.603  -3.389  4.046
H  -3.961  -4.996  3.615
H  -2.956  -3.107  5.813
H  -3.028  -4.888  5.859
C  3.950  8.333  3.672
C  4.692  7.617  4.784
O  5.973  8.257  4.750
C  5.835  9.478  4.183
O  6.679  10.313  4.153
O  4.597  9.612  3.651
H  2.888  8.461  3.861
H  4.092  7.846  2.709
H  4.243  7.789  5.764
H  4.810  6.551  4.614
C  2.129  9.619  0.509
C  2.194  8.794  -0.764
O  0.906  8.169  -0.781
C  0.052  8.919  -0.043
O  -1.124  8.753  0.005
O  0.726  9.877  0.629
H  2.672  10.558  0.459
H  2.455  9.051  1.381
H  2.293  9.413  -1.657
H  2.967  8.031  -0.753
C  0.709  -3.109  -0.219
C  0.446  -4.030  -1.396
O  1.521  -3.681  -2.286
C  2.527  -3.142  -1.566
O  3.611  -2.902  -1.997
O  2.129  -2.912  -0.298
H  0.436  -3.533  0.742
H  0.217  -2.142  -0.340
H  0.537  -5.085  -1.144
H  -0.499  -3.868  -1.904
C  2.365  -4.548  -5.321
C  3.137  -5.761  -4.840
O  2.282  -6.278  -3.809
C  1.035  -5.823  -4.019
O  0.080  -6.170  -3.386
O  1.008  -4.920  -5.011
H  2.460  -4.360  -6.385
H  2.612  -3.650  -4.755
H  3.237  -6.522  -5.617
H  4.110  -5.519  -4.427
C  -1.658  -8.961  -4.131
C  -1.400  -9.609  -5.480
O  -0.561  -10.713  -5.129
C  -0.779  -11.026  -3.827
O  -0.357  -11.996  -3.287
O  -1.541  -10.078  -3.239
H  -2.648  -8.524  -4.033
H  -0.907  -8.218  -3.865
H  -2.310  -9.996  -5.941
H  -0.877  -8.967  -6.183
C  7.357  -7.223  -6.129
C  6.936  -7.462  -7.569
O  5.798  -6.600  -7.695
C  5.891  -5.624  -6.766
O  5.184  -4.667  -6.715
O  6.886  -5.890  -5.895
H  8.430  -7.258  -5.967
H  6.856  -7.896  -5.431
H  7.694  -7.140  -8.284
H  6.638  -8.484  -7.781


# 2
Formula: C37H60BeBrCaCl5N4O4S2
Source: OMol25
Level of theory: ωB97M-V/def2-TZVPD

* charge: +2
* frontier orbital gap: 0.024 hartree
* 2S+1: 1

Atoms and positions in Å:
C  4.480  -6.913  2.031
C  5.509  -7.042  0.811
C  4.855  -6.922  -0.653
C  3.582  -5.958  -0.754
C  3.974  -4.375  -0.878
C  2.733  -3.563  -0.255
C  2.327  -2.232  -1.100
C  1.186  -1.503  -0.195
N  0.693  -0.223  -0.794
C  1.519  0.959  -0.353
C  2.614  1.433  -1.419
C  3.706  2.331  -0.607
C  3.878  3.813  -1.213
C  4.049  4.948  -0.070
C  5.525  5.593  -0.035
C  5.546  7.199  -0.315
C  5.883  8.059  1.027